Listing:
- - -
Entry from the Open Molecules 2025 dataset: 2 unconnected molecules or ions with the total composition C5H14ClN2 at a distorted geometry (ωB97M-V with the def2-TZVPD basis set).

```
22
Properties=species:S:1:pos:R:3:forces:R:3
C -2.930043 0.715153 0.776803 0.785 -1.091 -3.066
C -1.598728 0.532378 -0.158397 -2.000 0.728 1.298
C -0.332670 1.064810 0.489743 -0.606 1.613 1.583
C 1.034417 -1.693652 -0.307185 -0.821 1.367 4.917
C 0.928192 0.789476 -0.224577 0.938 -2.500 -0.112
N 0.916091 0.978541 -1.564711 0.521 1.211 -0.087
N 2.356837 -1.966088 0.337123 0.943 -0.105 -0.220
Cl 2.481562 1.079162 0.616229 -1.134 0.042 -0.611
H -2.924275 1.585348 1.371453 0.235 0.639 1.084
H -3.868389 0.742373 0.187408 0.741 0.379 -0.270
H -3.054732 -0.246760 1.219273 0.152 -0.266 1.435
H -1.583435 -0.504030 -0.405560 0.572 -0.951 0.098
H -1.763481 0.994894 -1.095969 -0.322 0.850 -1.000
H -0.314726 0.732244 1.540201 0.346 0.076 -0.411
H -0.387635 2.234054 0.540034 -0.003 -1.812 -0.049
H 1.131988 -1.682301 -1.316295 -0.126 -0.355 -2.847
H 0.272810 -2.301229 0.282290 0.810 0.886 -1.507
H -0.001573 1.281646 -1.834919 -0.382 -0.050 -0.541
H 1.620045 1.572031 -2.006283 0.091 -0.542 0.320
H 2.890246 -1.057792 0.433566 -0.084 -0.826 -0.770
H 2.919543 -2.709637 -0.241128 -0.955 1.573 2.056
H 2.207964 -2.140622 1.360906 0.298 -0.865 -1.301
```
Positions in Å, forces in eV/Å.

Computed properties:
2S+1: 1
LUMO level (alpha / beta) in eV: -3.6 / -3.6
Net charge: +1
Gap between HOMO and LUMO (alpha / beta) in eV: 8.42 / 8.42
ΔE to the lowest compared entry with this formula, charge and spin in kJ/mol: 242.1
Strongest force on any atom in Eh/bohr: 0.1005
Highest occupied orbital energy (alpha / beta) in eV: -12.0 / -12.0


Entry from the Open Molecules 2025 dataset: a molecular structure, C5H14ClN4 at a distorted geometry (ωB97M-V with the def2-TZVPD basis set).

```
24
Properties=species:S:1:pos:R:3:forces:R:3
C -0.218809 1.528734 -0.967803 -2.500 0.214 0.502
C -1.421449 0.292521 0.807877 -2.405 -0.435 0.808
C 0.881582 1.110518 1.214656 -1.135 -0.020 -0.038
C 1.839298 -0.785466 -0.572562 1.122 1.618 -1.743
C -0.111476 0.516437 0.204312 1.762 1.315 0.702
N 0.334227 -2.396872 -2.266399 1.020 -0.520 1.393
N 0.596392 -1.197755 -2.028983 -0.020 1.614 -1.228
N 0.587206 -0.804576 -0.090009 0.906 -0.133 -0.312
N 0.285850 -1.925836 0.621014 -1.998 -0.578 0.980
Cl 2.903213 -2.047007 -0.220481 0.426 -0.469 -0.063
H 0.708013 2.064599 -1.016820 0.330 0.404 -0.561
H -0.548196 1.105045 -1.968663 0.407 0.530 1.425
H -1.063361 2.287181 -0.543483 2.088 -1.622 -1.340
H -1.358514 -0.503348 1.578689 -0.577 0.172 -0.722
H -2.110364 0.173935 -0.051411 -0.218 -0.825 0.812
H -1.893447 1.136007 1.388740 1.150 -0.380 -0.774
H 1.303350 0.390549 1.889289 -0.467 -0.386 0.876
H 1.702347 1.361508 0.617753 1.369 1.281 -0.484
H 0.390093 1.956459 1.688646 0.501 0.095 0.209
H 2.467787 0.160338 -0.893016 -2.221 -1.871 0.609
H -0.554078 -2.764586 -1.938643 -0.377 -0.285 -0.453
H 0.864300 -2.730028 0.415364 -0.021 0.200 -0.071
H -0.724257 -2.152174 0.667604 0.988 0.447 -0.259
H 1.115374 -3.053342 -2.326348 -0.131 -0.363 -0.268
```
Positions in Å, forces in eV/Å.

Computed properties:
2S+1: 1
LUMO level in eV: -3.6
Net charge: +1
Gap between HOMO and LUMO in eV: 9.79
ΔE to the lowest compared entry with this formula, charge and spin in kJ/mol: 149.4
Strongest force on any atom in Eh/bohr: 0.0577
Highest occupied orbital energy in eV: -13.4


Entry from the Open Molecules 2025 dataset: a molecular structure, C5H14LiO5 at a distorted geometry (ωB97M-V with the def2-TZVPD basis set).

```
25
Properties=species:S:1:pos:R:3:forces:R:3
Li 0.721226 -0.544637 0.009060 0.687 3.368 1.486
C -0.717864 -3.372507 0.668000 -0.552 -0.231 0.247
C 0.028606 -2.039987 0.516310 -2.343 -4.643 1.224
O 0.504396 -1.901437 -0.629080 -0.080 -3.366 -3.398
O 0.104916 -1.256337 1.438040 -2.962 -7.182 3.465
H -1.739834 -3.309897 0.294160 -0.481 0.542 0.569
H -0.654774 -3.621567 1.727290 -0.438 -0.458 -0.077
- - -

Work order:
It remains to duplicate everything earlier on unchanged.

Here it is:
Entry from the Open Molecules 2025 dataset: 2 unconnected molecules or ions with the total composition C5H14ClN2 at a distorted geometry (ωB97M-V with the def2-TZVPD basis set).

```
22
Properties=species:S:1:pos:R:3:forces:R:3
C -2.930043 0.715153 0.776803 0.785 -1.091 -3.066
C -1.598728 0.532378 -0.158397 -2.000 0.728 1.298
C -0.332670 1.064810 0.489743 -0.606 1.613 1.583
C 1.034417 -1.693652 -0.307185 -0.821 1.367 4.917
C 0.928192 0.789476 -0.224577 0.938 -2.500 -0.112
N 0.916091 0.978541 -1.564711 0.521 1.211 -0.087
N 2.356837 -1.966088 0.337123 0.943 -0.105 -0.220
Cl 2.481562 1.079162 0.616229 -1.134 0.042 -0.611
H -2.924275 1.585348 1.371453 0.235 0.639 1.084
H -3.868389 0.742373 0.187408 0.741 0.379 -0.270
H -3.054732 -0.246760 1.219273 0.152 -0.266 1.435
H -1.583435 -0.504030 -0.405560 0.572 -0.951 0.098
H -1.763481 0.994894 -1.095969 -0.322 0.850 -1.000
H -0.314726 0.732244 1.540201 0.346 0.076 -0.411
H -0.387635 2.234054 0.540034 -0.003 -1.812 -0.049
H 1.131988 -1.682301 -1.316295 -0.126 -0.355 -2.847
H 0.272810 -2.301229 0.282290 0.810 0.886 -1.507
H -0.001573 1.281646 -1.834919 -0.382 -0.050 -0.541
H 1.620045 1.572031 -2.006283 0.091 -0.542 0.320
H 2.890246 -1.057792 0.433566 -0.084 -0.826 -0.770
H 2.919543 -2.709637 -0.241128 -0.955 1.573 2.056
H 2.207964 -2.140622 1.360906 0.298 -0.865 -1.301
```
Positions in Å, forces in eV/Å.

Computed properties:
2S+1: 1
LUMO level (alpha / beta) in eV: -3.6 / -3.6
Net charge: +1
Gap between HOMO and LUMO (alpha / beta) in eV: 8.42 / 8.42
ΔE to the lowest compared entry with this formula, charge and spin in kJ/mol: 242.1
Strongest force on any atom in Eh/bohr: 0.1005
Highest occupied orbital energy (alpha / beta) in eV: -12.0 / -12.0


Entry from the Open Molecules 2025 dataset: a molecular structure, C5H14ClN4 at a distorted geometry (ωB97M-V with the def2-TZVPD basis set).

```
24
Properties=species:S:1:pos:R:3:forces:R:3
C -0.218809 1.528734 -0.967803 -2.500 0.214 0.502
C -1.421449 0.292521 0.807877 -2.405 -0.435 0.808
C 0.881582 1.110518 1.214656 -1.135 -0.020 -0.038
C 1.839298 -0.785466 -0.572562 1.122 1.618 -1.743
C -0.111476 0.516437 0.204312 1.762 1.315 0.702
N 0.334227 -2.396872 -2.266399 1.020 -0.520 1.393
N 0.596392 -1.197755 -2.028983 -0.020 1.614 -1.228
N 0.587206 -0.804576 -0.090009 0.906 -0.133 -0.312
N 0.285850 -1.925836 0.621014 -1.998 -0.578 0.980
Cl 2.903213 -2.047007 -0.220481 0.426 -0.469 -0.063
H 0.708013 2.064599 -1.016820 0.330 0.404 -0.561
H -0.548196 1.105045 -1.968663 0.407 0.530 1.425
H -1.063361 2.287181 -0.543483 2.088 -1.622 -1.340
H -1.358514 -0.503348 1.578689 -0.577 0.172 -0.722
H -2.110364 0.173935 -0.051411 -0.218 -0.825 0.812
H -1.893447 1.136007 1.388740 1.150 -0.380 -0.774
H 1.303350 0.390549 1.889289 -0.467 -0.386 0.876
H 1.702347 1.361508 0.617753 1.369 1.281 -0.484
H 0.390093 1.956459 1.688646 0.501 0.095 0.209
H 2.467787 0.160338 -0.893016 -2.221 -1.871 0.609
H -0.554078 -2.764586 -1.938643 -0.377 -0.285 -0.453
H 0.864300 -2.730028 0.415364 -0.021 0.200 -0.071
H -0.724257 -2.152174 0.667604 0.988 0.447 -0.259
H 1.115374 -3.053342 -2.326348 -0.131 -0.363 -0.268
```
Positions in Å, forces in eV/Å.

Computed properties:
2S+1: 1
LUMO level in eV: -3.6
Net charge: +1
Gap between HOMO and LUMO in eV: 9.79
ΔE to the lowest compared entry with this formula, charge and spin in kJ/mol: 149.4
Strongest force on any atom in Eh/bohr: 0.0577
Highest occupied orbital energy in eV: -13.4


Entry from the Open Molecules 2025 dataset: a molecular structure, C5H14LiO5 at a distorted geometry (ωB97M-V with the def2-TZVPD basis set).

```
25
Properties=species:S:1:pos:R:3:forces:R:3
Li 0.721226 -0.544637 0.009060 0.687 3.368 1.486
C -0.717864 -3.372507 0.668000 -0.552 -0.231 0.247
C 0.028606 -2.039987 0.516310 -2.343 -4.643 1.224
O 0.504396 -1.901437 -0.629080 -0.080 -3.366 -3.398
O 0.104916 -1.256337 1.438040 -2.962 -7.182 3.465
H -1.739834 -3.309897 0.294160 -0.481 0.542 0.569
H -0.654774 -3.621567 1.727290 -0.438 -0.458 -0.077